Samtec Dominates DesignCon 2021

Samtec Dominates DesignCon 2021
by Mike Gianfagna on 08-15-2021 at 6:00 am

Samtec Dominates DesignCon 2021

DesignCon has grown over the years to become a true system design show. The show’s tagline is WHERE THE CHIP MEETS TO BOARD. This is just the beginning. Besides the chip and the board there are all the challenges, opportunities, and options to get signals reliably propagated throughout the entire system. Power, signal integrity,… Read More

TSMC Explains the Fourth Era of Semiconductor – It’s All About Collaboration

TSMC Explains the Fourth Era of Semiconductor – It’s All About Collaboration
by Mike Gianfagna on 08-13-2021 at 6:00 am

TSMC Explains the Fourth Era of Semiconductor – Its All About Collaboration

The 32nd VLSI Design/CAD Symposium  just occurred in a virtual setting. The theme of the event this year was “ICs Powering Smart Life Innovation”. There were many excellent presentations across analog & RF, EDA & testing, digital & system, and emerging technology. There were also some excellent keynotes, and this… Read More

Is EDA Growth Unstoppable?

Is EDA Growth Unstoppable?
by Mike Gianfagna on 07-15-2021 at 6:00 am

Is EDA Growth Unstoppable

SemiWiki has covered the Q2, Q3 and Q4 ESD Alliance quarterly revenue reports previously. The Q2 2020 report suggested that EDA had COVID immunity. The Q3 2020 report inspired an Up and to the Right comment. The Q4 2020 report  demanded a Juggernaut label.  And now the Q1 2021 report posts yet more record-breaking growth. This is … Read More

Get a Jump-Start on Your Next IoT Design with Sondrel’s SFA 100

Get a Jump-Start on Your Next IoT Design with Sondrel’s SFA 100
by Mike Gianfagna on 07-14-2021 at 6:00 am

Get a Jump Start on Your Next IoT Design with Sondrels SFA 100

The concept of platform-based design has been around a long time. I can recall Nokia’s early cell phone products used the strategy very effectively. They were able to turn out new phones quickly by leveraging their existing chip design as a baseline on which to add features. This is commonplace today but was innovative at that time.… Read More

When Implementing 112G PAM4 Channels, Getting There is Half the Fun

When Implementing 112G PAM4 Channels, Getting There is Half the Fun
by Mike Gianfagna on 07-07-2021 at 10:00 am

When Implementing 112G PAM4 Channels Getting There is Half the Fun

The slogan in the title of this post originated with the cruise ship industry in the 1950s. The comment resonated then, and it continues to do so now. In a different context of course. Consider the substantial pressure for higher bandwidth channels. 5G has lit the fuse on a massive increase in wireless data volumes. IoT, autonomous… Read More

Achieving Scalability Means No More Silos

Achieving Scalability Means No More Silos
by Mike Gianfagna on 07-01-2021 at 6:00 am

Achieving Scalability Means No More Silos

This is a story of contrasts and counter-intuitive results. Perforce recently published a white paper discussing enterprise scalability – what it takes, why it’s important and what can get in the way. The discussion will shake up some long-held notions regarding effective project management. The results can be significant,… Read More

Silicon Catalyst and Cornell University Are Expanding Opportunities for Startups Like Geegah

Silicon Catalyst and Cornell University Are Expanding Opportunities for Startups Like Geegah
by Mike Gianfagna on 06-24-2021 at 6:00 am

Silicon Catalyst and Cornell University Are Expanding Opportunities

SemiWiki has covered many aspects of Silicon Catalyst, from their business model to notable industry events and profiles of promising startups. You can get some perspective on the breadth and depth of Silicon Catalyst here. In this post, I’ll explore an aspect of the broader collaboration the organization is engaging in. It is… Read More

(Materials data, as found in the file)
+++
DFT (PBE) results for crystalline Gd5Al at its relaxed geometry.

Values from the calculation:
Calculated density (kg/m³): 6788
Calculated volume (Å³ per cell): 199

a = 6.3175 Å, b = 6.3175 Å, c = 5.7561 Å
α = 90.00°, β = 90.00°, γ = 120.00°
Last column: nearest neighbours and their distance in Å.
Atoms (fractional coordinates):
Al 0.0000 0.0000 0.0000  6 Gd 3.65
Gd 0.6667 0.3333 0.0000  9 Gd 3.41-3.65, 3 Al 3.65
Gd 0.3333 0.6667 0.0000  9 Gd 3.41-3.65, 3 Al 3.65
Gd 0.5000 0.0000 0.5000  8 Gd 3.16-3.41
Gd 0.0000 0.5000 0.5000  8 Gd 3.16-3.41
Gd 0.5000 0.5000 0.5000  8 Gd 3.16-3.41

=====

DFT (PBE) results for crystalline Li4AlCdCu2 at its relaxed geometry.

Values from the calculation:
Calculated density (kg/m³): 4393
Calculated volume (Å³ per cell): 111

a = 4.2818 Å, b = 4.2818 Å, c = 6.0668 Å
α = 90.00°, β = 90.00°, γ = 90.00°
Last column: nearest neighbours and their distance in Å.
Atoms (fractional coordinates):
Al 0.0000 0.0000 0.0000  4 Cu 2.54, 4 Li 2.61
Cd 0.5000 0.5000 0.5000  4 Li 2.64, 4 Cu 2.72
Cu 0.0000 0.5000 0.2243  4 Li 2.54-2.72, 2 Al 2.54, 2 Cd 2.72
Cu 0.5000 0.0000 0.7757  4 Li 2.54-2.72, 2 Al 2.54, 2 Cd 2.72
Li 0.5000 0.5000 0.0000  4 Cu 2.54, 4 Li 2.61
Li 0.5000 0.0000 0.2446  4 Li 2.61-2.64, 2 Al 2.61, 2 Cd 2.64, 1 Cu 2.85
Li 0.0000 0.0000 0.5000  4 Li 2.64, 4 Cu 2.72
Li 0.0000 0.5000 0.7554  4 Li 2.61-2.64, 2 Al 2.61, 2 Cd 2.64, 1 Cu 2.85

=====

DFT (PBE) results for crystalline BaCdO2 at its relaxed geometry.

Values from the calculation:
Calculated density (kg/m³): 6221
Calculated volume (Å³ per cell): 150

a = 5.5008 Å, b = 5.5008 Å, c = 5.3136 Å
α = 90.00°, β = 90.00°, γ = 110.70°
Last column: nearest neighbours and their distance in Å.
Atoms (fractional coordinates):
Ba 0.3566 0.6434 0.2500  4 O 2.74-2.76
Ba 0.6434 0.3566 0.7500  4 O 2.74-2.76
Cd 0.0000 0.0000 0.0000  4 O 2.26
Cd 0.0000 0.0000 0.5000  4 O 2.26
O 0.3538 0.1398 0.2500  2 Cd 2.26
O 0.8602 0.6462 0.2500  2 Cd 2.26
O 0.1398 0.3538 0.7500  2 Cd 2.26
O 0.6462 0.8602 0.7500  2 Cd 2.26

=====

DFT (PBE) results for crystalline Pm12MgCo6 at its relaxed geometry.

Values from the calculation:
Calculated density (kg/m³): 7150
Calculated volume (Å³ per cell): 492

a = 8.6130 Å, b = 8.6130 Å, c = 8.6130 Å
α = 109.47°, β = 109.47°, γ = 109.47°
Last column: nearest neighbours and their distance in Å.
Atoms (fractional coordinates):
Co 0.5000 0.6112 0.1112  1 Co 2.21
Co 0.8888 0.5000 0.3888  1 Co 2.21
Co 0.6112 0.1112 0.5000  1 Co 2.21
Co 0.3888 0.8888 0.5000  1 Co 2.21
Co 0.1112 0.5000 0.6112  1 Co 2.21
Co 0.5000 0.3888 0.8888  1 Co 2.21
Mg 0.0000 0.0000 0.0000  12 Pm 3.62
Pm 0.3073 0.8053 0.1126  3 Co 2.72-2.94
Pm 0.5020 0.3073 0.1947  3 Co 2.72-2.94
Pm 0.8874 0.6927 0.1947  3 Co 2.72-2.94
Pm 0.8053 0.1126 0.3073  3 Co 2.72-2.94
Pm 0.1947 0.5020 0.3073  3 Co 2.72-2.94
Pm 0.6927 0.8053 0.4980  3 Co 2.72-2.94
Pm 0.3073 0.1947 0.5020  3 Co 2.72-2.94
Pm 0.1947 0.8874 0.6927  3 Co 2.72-2.94
Pm 0.8053 0.4980 0.6927  3 Co 2.72-2.94
+++

Alchip is Painting a Bright Future for the ASIC Market

Alchip is Painting a Bright Future for the ASIC Market
by Mike Gianfagna on 06-17-2021 at 10:00 am

Alchip is Painting a Bright Future for the ASIC Market

I’ve spent most of my career in the ASIC business. In 2003, Gartner predicted the ASIC market would grow to $16.9B. During that time, there were a number of startups building ASICs, but the applications were a bit specialized and aimed at new markets. Consequently, there was a lot of risk to build a chip startup and many ASICs either… Read More

Data Orchestration Hardware Unlocks the Full Potential of AI

Data Orchestration Hardware Unlocks the Full Potential of AI
by Mike Gianfagna on 06-10-2021 at 10:00 am

Data Orchestration Hardware Unlocks the Full Potential of AI

We all know that artificial intelligence (AI) and machine learning (ML) are fundamentally changing the world. From the smart devices that gather data to the hyperscale data centers that analyze it, the impact of AI/ML can be felt almost everywhere. It is also well-known that hardware accelerators have opened the door to real-time… Read More

WEBINAR: 5 Reasons Why a High Performance Reconfigurable SmartNIC Demands a 2D NoC

WEBINAR: 5 Reasons Why a High Performance Reconfigurable SmartNIC Demands a 2D NoC
by Mike Gianfagna on 06-10-2021 at 6:00 am

WEBINAR 5 Reasons Why a High Performance Reconfigurable SmartNIC Demands a 2D NoC

If you are involved in designing systems that process data, you’re going to want to attend this webinar. Practically speaking, this should include a large percentage of the SemiWiki readership. Since data is the new oil there are a lot of applications drawn to data and information processing. Before we explore this webinar, let’s… Read More